/*
Entry from the Alexandria database: Ba5PrSb4 after structural relaxation (GGA-PBE).

Computed properties:
Its symmetry is C2/m. The electronic total energy comes out at -3.986 eV/atom.

The structure in extended XYZ format:
```
10
Lattice="11.085 -2.521 0.000 11.085 2.521 0.000 -3.803 0.000 8.369" Properties=species:S:1:pos:R:3 pbc="T T T"
Ba 0.000 0.000 0.000
Ba 7.073 0.000 0.719
Ba 5.186 0.000 4.860
Ba 13.181 0.000 3.509
Ba 11.294 0.000 7.650
Pr -1.902 0.000 4.184
Sb 1.537 0.000 5.754
Sb 10.078 0.000 2.224
Sb 8.289 0.000 6.145
Sb 16.830 0.000 2.615
```
*/
Repeat the lines further up from the one with "0.000 0.000" to the one with "2.224" with every line break kept, please.
Ba 0.000 0.000 0.000
Ba 7.073 0.000 0.719
Ba 5.186 0.000 4.860
Ba 13.181 0.000 3.509
Ba 11.294 0.000 7.650
Pr -1.902 0.000 4.184
Sb 1.537 0.000 5.754
Sb 10.078 0.000 2.224